Given:
[1]
First-principles (PBE) data for crystalline CaLaHo4Se8 at its relaxed geometry, as listed in the Alexandria database.

Cell and atoms, written as POSCAR:
```
CaLaHo4Se8
1.0
-7.9286 -1.3899 -2.5196
-2.6611 -7.8810 -1.3967
-5.5803 -3.5903 5.4223
Ca La Ho Se
1 1 4 8
direct
0.3731 0.3731 0.8807
0.0015 0.0015 0.9954
0.6264 0.6264 0.1208
0.0019 0.4940 0.5022
0.4940 0.0019 0.5022
0.0019 0.0019 0.5022
0.2480 0.7773 0.7267
0.7773 0.2480 0.7267
0.2480 0.2480 0.7267
0.2394 0.2394 0.2817
0.7493 0.2315 0.2699
0.2315 0.7493 0.2699
0.7493 0.7493 0.2699
0.7583 0.7583 0.7252
```

Results
As for the density of states at the Fermi level: 0.307 states/eV/atom. The energy is -5.60 eV/atom. As for the density: 5.6 g/cm3.

=====

[2]
First-principles (PBE) data for crystalline LiPdBrF2 at its relaxed geometry, as listed in the Alexandria database.

Cell and atoms, written as POSCAR:
```
LiPdBrF2
1.0
-0.1001 -2.7653 -2.8309
-2.4840 -4.6094 4.5906
-3.6969 1.0758 -0.9202
Li Br Pd F
1 1 1 2
direct
0.0000 0.5000 0.0000
0.5000 0.5000 0.5000
0.0000 0.0000 0.0000
0.0000 0.0000 0.5000
0.5000 0.0000 0.0000
```

Results
As for the density of states at the Fermi level: 0.776 states/eV/atom. The energy is -3.64 eV/atom. As for the density: 3.5 g/cm3.

=====

[3]
First-principles (PBE) data for crystalline CdSe2SN at its relaxed geometry, as listed in the Alexandria database.

Cell and atoms, written as POSCAR:
```
CdSe2SN
1.0
-2.5886 -2.5142 3.9081
4.3267 -2.9358 0.9772
1.0645 2.2950 2.1815
S N Se Cd
1 1 2 1
direct
0.0000 0.0000 0.0000
0.0000 0.0000 0.5000
0.0000 0.5000 0.0000
0.5000 0.0000 0.0000
0.5000 0.5000 0.5000
```

Results
As for the density of states at the Fermi level: 0.554 states/eV/atom. The energy above the most stable polymorph in this dataset is 0.00 eV per formula unit. As for the density: 5.6 g/cm3.

=====

[4]
First-principles (PBE) data for crystalline BaCeSe4 at its relaxed geometry, as listed in the Alexandria database.

Cell and atoms, written as POSCAR:
```
BaCeSe4
1.0
7.8310 0.4788 -0.3235
-0.5429 6.6350 -3.3197
0.3682 -0.0790 8.1168
Ba Ce Se
2 2 8
direct
0.1567 0.1709 0.3417
0.8433 0.8291 0.6583
0.7424 0.4645 0.9291
0.2576 0.5355 0.0709
0.7993 0.2769 0.5538
0.5236 0.3217 0.1629
0.0000 0.2436 0.0000
0.4764 0.1588 0.8371
0.2007 0.7231 0.4462
0.4764 0.6783 0.8371
0.0000 0.7564 0.0000
0.5236 0.8412 0.1629
```

Results
The energy above the most stable polymorph in this dataset is 0.00 eV per formula unit. As for the density: 4.7 g/cm3.

=====

[5]
First-principles (PBE) data for crystalline Pu3Cd5Pd2 at its relaxed geometry, as listed in the Alexandria database.

Cell and atoms, written as POSCAR:
```
Pu3Cd5Pd2
1.0
-3.8781 4.4122 -0.4821
-8.0435 -2.6543 4.3818
1.5514 6.0846 7.1773
Pu Cd Pd
6 10 4
direct
0.2500 0.0000 0.0000
0.7500 0.0000 0.0000
0.3631 0.3716 0.9022
0.6369 0.6284 0.0978
0.8631 0.9022 0.3716
0.1369 0.0978 0.6284
0.2500 0.5000 0.5000
0.7500 0.5000 0.5000
0.5076 0.7424 0.7424

Job:
Copy the whole of the entries earlier on without additions.

Response:
[1]
First-principles (PBE) data for crystalline CaLaHo4Se8 at its relaxed geometry, as listed in the Alexandria database.

Cell and atoms, written as POSCAR:
```
CaLaHo4Se8
1.0
-7.9286 -1.3899 -2.5196
-2.6611 -7.8810 -1.3967
-5.5803 -3.5903 5.4223
Ca La Ho Se
1 1 4 8
direct
0.3731 0.3731 0.8807
0.0015 0.0015 0.9954
0.6264 0.6264 0.1208
0.0019 0.4940 0.5022
0.4940 0.0019 0.5022
0.0019 0.0019 0.5022
0.2480 0.7773 0.7267
0.7773 0.2480 0.7267
0.2480 0.2480 0.7267
0.2394 0.2394 0.2817
0.7493 0.2315 0.2699
0.2315 0.7493 0.2699
0.7493 0.7493 0.2699
0.7583 0.7583 0.7252
```

Results
As for the density of states at the Fermi level: 0.307 states/eV/atom. The energy is -5.60 eV/atom. As for the density: 5.6 g/cm3.

=====

[2]
First-principles (PBE) data for crystalline LiPdBrF2 at its relaxed geometry, as listed in the Alexandria database.

Cell and atoms, written as POSCAR:
```
LiPdBrF2
1.0
-0.1001 -2.7653 -2.8309
-2.4840 -4.6094 4.5906
-3.6969 1.0758 -0.9202
Li Br Pd F
1 1 1 2
direct
0.0000 0.5000 0.0000
0.5000 0.5000 0.5000
0.0000 0.0000 0.0000
0.0000 0.0000 0.5000
0.5000 0.0000 0.0000
```

Results
As for the density of states at the Fermi level: 0.776 states/eV/atom. The energy is -3.64 eV/atom. As for the density: 3.5 g/cm3.

=====

[3]
First-principles (PBE) data for crystalline CdSe2SN at its relaxed geometry, as listed in the Alexandria database.

Cell and atoms, written as POSCAR:
```
CdSe2SN
1.0
-2.5886 -2.5142 3.9081
4.3267 -2.9358 0.9772
1.0645 2.2950 2.1815
S N Se Cd
1 1 2 1
direct
0.0000 0.0000 0.0000
0.0000 0.0000 0.5000
0.0000 0.5000 0.0000
0.5000 0.0000 0.0000
0.5000 0.5000 0.5000
```

Results
As for the density of states at the Fermi level: 0.554 states/eV/atom. The energy above the most stable polymorph in this dataset is 0.00 eV per formula unit. As for the density: 5.6 g/cm3.

=====

[4]
First-principles (PBE) data for crystalline BaCeSe4 at its relaxed geometry, as listed in the Alexandria database.

Cell and atoms, written as POSCAR:
```
BaCeSe4
1.0
7.8310 0.4788 -0.3235
-0.5429 6.6350 -3.3197
0.3682 -0.0790 8.1168
Ba Ce Se
2 2 8
direct
0.1567 0.1709 0.3417
0.8433 0.8291 0.6583
0.7424 0.4645 0.9291
0.2576 0.5355 0.0709
0.7993 0.2769 0.5538
0.5236 0.3217 0.1629
0.0000 0.2436 0.0000
0.4764 0.1588 0.8371
0.2007 0.7231 0.4462
0.4764 0.6783 0.8371
0.0000 0.7564 0.0000
0.5236 0.8412 0.1629
```

Results
The energy above the most stable polymorph in this dataset is 0.00 eV per formula unit. As for the density: 4.7 g/cm3.

=====

[5]
First-principles (PBE) data for crystalline Pu3Cd5Pd2 at its relaxed geometry, as listed in the Alexandria database.

Cell and atoms, written as POSCAR:
```
Pu3Cd5Pd2
1.0
-3.8781 4.4122 -0.4821
-8.0435 -2.6543 4.3818
1.5514 6.0846 7.1773
Pu Cd Pd
6 10 4
direct
0.2500 0.0000 0.0000
0.7500 0.0000 0.0000
0.3631 0.3716 0.9022
0.6369 0.6284 0.0978
0.8631 0.9022 0.3716
0.1369 0.0978 0.6284
0.2500 0.5000 0.5000
0.7500 0.5000 0.5000
0.5076 0.7424 0.7424